Entries:
# 1
The following is a DFT calculation (PBE) of ThSe4O10 after structural relaxation.

Output
For the total energy, the calculation gives -734.95 eV/cell. The value obtained for the formation energy from the elements is -1.86 eV/atom. The magnetization is 0.00 μB/f.u.

Cell and atoms, written as extended XYZ:
```
120
Lattice="-6.039 -6.752 7.989 -4.201 -7.327 -9.369 10.596 -7.843 1.382" Properties=species:S:1:pos:R:3 pbc="T T T"
Th 0.317 -16.834 -0.395
Th -3.318 -9.052 3.640
Th 5.405 -8.933 0.998
Th -1.692 -9.025 -4.239
Th 0.039 -5.088 0.398
Th 3.674 -12.870 -3.638
Th -5.049 -12.989 -0.996
Th 2.048 -12.897 4.241
Se 1.487 -9.805 6.777
Se -2.161 -12.024 1.656
Se 4.006 -16.219 -5.870
Se -2.620 -5.797 -2.559
Se -1.130 -12.117 -6.775
Se 2.517 -9.898 -1.654
Se -3.650 -5.703 5.872
Se 2.976 -16.125 2.561
Se -1.427 -12.660 -2.432
Se -1.353 -12.842 6.168
Se -0.638 -2.124 -2.062
Se 4.131 -16.218 -1.670
Se 1.783 -9.262 2.434
Se 1.709 -9.080 -6.166
Se 0.995 -19.798 2.064
Se -3.775 -5.704 1.672
Se -1.645 -9.215 7.162
Se 0.695 -13.095 0.655
Se -4.949 -10.633 -5.665
Se 6.612 -10.901 -2.149
Se 2.001 -12.707 -7.160
Se -0.339 -8.827 -0.653
Se 5.306 -11.289 5.667
Se -6.256 -11.021 2.151
Se 0.370 -14.805 -3.927
Se 1.718 -5.986 -2.937
Se 2.809 -13.804 7.894
Se -4.185 -9.248 -1.025
Se -0.014 -7.116 3.929
Se -1.361 -15.936 2.939
Se -2.453 -8.117 -7.892
Se 4.541 -12.674 1.027
O -5.021 -15.069 -2.341
O 0.556 -13.370 2.321
O -0.249 -3.297 2.085
O 5.426 -12.107 -2.061
O 5.377 -6.853 2.343
O -0.200 -8.552 -2.319
O 0.605 -18.625 -2.083
O -5.070 -9.815 2.063
O -1.949 -17.301 -1.085
O -2.076 -10.372 2.045
O 6.733 -9.515 2.928
O -1.996 -6.656 -3.884
O 2.305 -4.621 1.087
O 2.433 -11.550 -2.043
O -6.377 -12.407 -2.926
O 2.352 -15.266 3.886
O -0.150 -15.886 -2.720
O -3.737 -11.547 3.987
O 7.706 -7.831 0.897
O -3.107 -8.580 -2.160
O 0.506 -6.036 2.722
O 4.094 -10.375 -3.985
O -7.350 -14.091 -0.895
O 3.463 -13.342 2.162
O -1.035 -13.593 -3.997
O 3.246 -6.984 -2.594
O 4.236 -14.993 7.935
O -5.734 -8.273 -1.341
O 1.391 -8.328 3.999
O -2.890 -14.938 2.596
O -3.879 -6.929 -7.933
O 6.090 -13.649 1.343
O -0.214 -10.334 7.400
O -0.734 -11.972 0.423
O 4.149 -17.432 -4.433
O -2.489 -4.107 -3.386
O 0.570 -11.588 -7.398
O 1.090 -9.950 -0.421
O -3.793 -4.490 4.435
O 2.845 -17.815 3.388
O -1.223 -16.748 1.464
O -1.166 -8.072 3.144
O 4.994 -11.201 1.721
O -1.892 -7.822 -6.325
O 1.579 -5.174 -1.462
O 1.523 -13.850 -3.142
O -4.638 -10.721 -1.719
O 2.248 -14.099 6.327
O -2.049 -9.633 5.560
O 0.055 -14.497 -0.071
O -3.922 -9.517 -4.888
O 6.628 -10.196 -0.597
O 2.405 -12.289 -5.558
O 0.301 -7.425 0.073
O 4.278 -12.405 4.891
O -6.272 -11.726 0.599
O 0.599 -18.985 0.628
O -3.863 -7.361 2.030
O 3.385 -8.726 2.274
O 0.591 -8.773 -4.927
O -0.243 -2.937 -0.626
O 4.219 -14.561 -2.027
O -3.029 -13.196 -2.272
O -0.235 -13.149 4.930
O 2.514 -16.484 -1.226
O -5.303 -9.033 4.943
O 5.052 -7.222 -0.610
O -1.551 -11.105 -3.103
O -2.158 -5.438 1.228
O 5.659 -12.889 -4.941
O -4.696 -14.700 0.612
O 1.907 -10.817 3.105
O 1.818 -11.261 5.991
O -3.371 -12.100 0.482
O 3.546 -14.906 -4.914
O -1.281 -5.576 -1.555
O -1.462 -10.661 -5.989
O 3.727 -9.822 -0.480
O -3.190 -7.016 4.916
O 1.637 -16.346 1.557
```

---

# 2
The following is a DFT calculation (PBE) of Th3Se3O16 after structural relaxation.

Output
For the total energy, the calculation gives -303.97 eV/cell. The value obtained for the formation energy from the elements is -2.32 eV/atom. The magnetization is 2.00 μB/f.u.

Cell and atoms, written as extended XYZ:
```
44
Lattice="-5.734 5.734 5.354 5.734 -5.734 5.354 5.734 5.734 -5.354" Properties=species:S:1:pos:R:3 pbc="T T T"
Th 2.895 0.433 0.000
Th 2.839 5.301 5.354
Th 0.433 8.573 0.000
Th 5.301 -2.839 5.354
Th 0.000 0.000 8.051
Th 0.000 0.000 2.656
Se -1.412 2.532 5.354
Se 7.146 3.202 0.000
Se 2.532 1.412 5.354
Se 3.202 4.322 0.000
Se 0.000 5.734 2.677
Se 5.734 0.000 2.677
O 2.732 7.776 0.000
O 3.001 -2.042 5.354
O 2.042 3.001 5.354
O 3.692 2.732 0.000
O 1.253 5.092 3.571
O -1.253 6.376 3.571

Request:
Find the line above that holds "7.894", then type out that line and all lines after it there.

Result:
Se 2.809 -13.804 7.894
Se -4.185 -9.248 -1.025
Se -0.014 -7.116 3.929
Se -1.361 -15.936 2.939
Se -2.453 -8.117 -7.892
Se 4.541 -12.674 1.027
O -5.021 -15.069 -2.341
O 0.556 -13.370 2.321
O -0.249 -3.297 2.085
O 5.426 -12.107 -2.061
O 5.377 -6.853 2.343
O -0.200 -8.552 -2.319
O 0.605 -18.625 -2.083
O -5.070 -9.815 2.063
O -1.949 -17.301 -1.085
O -2.076 -10.372 2.045
O 6.733 -9.515 2.928
O -1.996 -6.656 -3.884
O 2.305 -4.621 1.087
O 2.433 -11.550 -2.043
O -6.377 -12.407 -2.926
O 2.352 -15.266 3.886
O -0.150 -15.886 -2.720
O -3.737 -11.547 3.987
O 7.706 -7.831 0.897
O -3.107 -8.580 -2.160
O 0.506 -6.036 2.722
O 4.094 -10.375 -3.985
O -7.350 -14.091 -0.895
O 3.463 -13.342 2.162
O -1.035 -13.593 -3.997
O 3.246 -6.984 -2.594
O 4.236 -14.993 7.935
O -5.734 -8.273 -1.341
O 1.391 -8.328 3.999
O -2.890 -14.938 2.596
O -3.879 -6.929 -7.933
O 6.090 -13.649 1.343
O -0.214 -10.334 7.400
O -0.734 -11.972 0.423
O 4.149 -17.432 -4.433
O -2.489 -4.107 -3.386
O 0.570 -11.588 -7.398
O 1.090 -9.950 -0.421
O -3.793 -4.490 4.435
O 2.845 -17.815 3.388
O -1.223 -16.748 1.464
O -1.166 -8.072 3.144
O 4.994 -11.201 1.721
O -1.892 -7.822 -6.325
O 1.579 -5.174 -1.462
O 1.523 -13.850 -3.142
O -4.638 -10.721 -1.719
O 2.248 -14.099 6.327
O -2.049 -9.633 5.560
O 0.055 -14.497 -0.071
O -3.922 -9.517 -4.888
O 6.628 -10.196 -0.597
O 2.405 -12.289 -5.558
O 0.301 -7.425 0.073
O 4.278 -12.405 4.891
O -6.272 -11.726 0.599
O 0.599 -18.985 0.628
O -3.863 -7.361 2.030
O 3.385 -8.726 2.274
O 0.591 -8.773 -4.927
O -0.243 -2.937 -0.626
O 4.219 -14.561 -2.027
O -3.029 -13.196 -2.272
O -0.235 -13.149 4.930
O 2.514 -16.484 -1.226
O -5.303 -9.033 4.943
O 5.052 -7.222 -0.610
O -1.551 -11.105 -3.103
O -2.158 -5.438 1.228
O 5.659 -12.889 -4.941
O -4.696 -14.700 0.612
O 1.907 -10.817 3.105
O 1.818 -11.261 5.991
O -3.371 -12.100 0.482
O 3.546 -14.906 -4.914
O -1.281 -5.576 -1.555
O -1.462 -10.661 -5.989
O 3.727 -9.822 -0.480
O -3.190 -7.016 4.916
O 1.637 -16.346 1.557
```

---

# 2
The following is a DFT calculation (PBE) of Th3Se3O16 after structural relaxation.

Output
For the total energy, the calculation gives -303.97 eV/cell. The value obtained for the formation energy from the elements is -2.32 eV/atom. The magnetization is 2.00 μB/f.u.

Cell and atoms, written as extended XYZ:
```
44
Lattice="-5.734 5.734 5.354 5.734 -5.734 5.354 5.734 5.734 -5.354" Properties=species:S:1:pos:R:3 pbc="T T T"
Th 2.895 0.433 0.000
Th 2.839 5.301 5.354
Th 0.433 8.573 0.000
Th 5.301 -2.839 5.354
Th 0.000 0.000 8.051
Th 0.000 0.000 2.656
Se -1.412 2.532 5.354
Se 7.146 3.202 0.000
Se 2.532 1.412 5.354
Se 3.202 4.322 0.000
Se 0.000 5.734 2.677
Se 5.734 0.000 2.677
O 2.732 7.776 0.000
O 3.001 -2.042 5.354
O 2.042 3.001 5.354
O 3.692 2.732 0.000
O 1.253 5.092 3.571
O -1.253 6.376 3.571